Donate Ghulam Fatima for her Multinodular Goiter
Ghulam Fatima's Story
Ghulam Fatima is a 56-year-old woman that works as tailor for earning for her 5 daughters, 2 sons, and elderly husband. Both of the sons are married, and three of her daughters are married, while one is a first year student and the other has a backbone issue, making her unable to work; Her husband is also too old to work. Currently, they are living in a Marla house given to them by the government, however Ghulam is living in her cousin’s house in Kasur because of her tailoring profession.
Ghulam has been suffering from pain in her throat due to nodular goiters for the last 12 years, as well as having difficulty in breathing for last 1 year. Luckily, she found Transparent Hands and was able to meet with one of our doctors, Dr. Ahmed Fawad, and he was able to properly diagnose the goiters. Our doctor also suggested a surgery for this particular diagnosis, a thyroidectomy, to completely rid her of these painful goiters.
She is very poor, earning 20,000 PKR a month, being able to hardly manages her husband and daughter medicines and running household expenses. This is not nearly enough to be able to pay for the thyroidectomy she desperately needs in order to relieve her pain, and while she is out of work, it makes it more financially unstable for her family as a whole.
Please help and donate now to Ghulam Fatima so she can financially provide for her family, they’re depending on you. You are even able to donate online to help Ghulam Fatima to undergo this surgical treatment, so please do not hesitate to make an online donation of any amount.
Please Note: In certain situations, we proceed with the patient's surgery/medical procedure despite incomplete funding displayed on the website. Following the surgery/medical procedure, we persist in collecting funds and maintain the campaign on the website until funding is secured in full. Hospitals have granted us a grace period for bill payment.
Packages Foundation
== Unrelated to this entry: data records ==
┌──
# PrV2NiO8
Theoretical X-ray powder pattern, copper Kα. Input: a structure optimized by DFT (PBE+U).

Most intense lines, 2θ = 10–90°, low angle first:
- 17.7 deg, I 100, (1 0 0)
- 23.0 deg, I 80, (1 0 1)
- 30.8 deg, I 98, (1 1 0)
- 34.5 deg, I 65, (0 1 2)
- 38.8 deg, I 21, (2 0 1)
- 43.1 deg, I 41, (1 1 2)
- 47.0 deg, I 40, (2 0 2)
- 57.2 deg, I 32, (1 2 2)

Structural model:
abc: 5.799 5.799 6.072
angles: 90.00 90.00 120.00
Fractional positions:
Pr 0.000 0.000 0.000
V 0.333 0.667 0.626
V 0.667 0.333 0.374
Ni 0.000 0.000 0.500
O 0.164 0.327 0.713
O 0.164 0.836 0.713
O 0.327 0.164 0.287
O 0.333 0.667 0.354
O 0.667 0.333 0.646
O 0.673 0.836 0.713
O 0.836 0.164 0.287
O 0.836 0.673 0.287

=====

(1)
This entry pairs a crystal structure of YV2Co10 with its theoretical powder diffractogram. Radiation: Cu Kα. Structure: a PBE-relaxed structure.

Largest 8 diffraction maxima, low angle first, 2θ from 10° to 80°:
| d/Å | Position (°2θ) | I_rel |
| --- | --- | --- |
| 2.381 | 37.78 | 37 |
| 2.079 | 43.54 | 66 |
| 2.066 | 43.82 | 100 |
| 2.030 | 44.64 | 75 |
| 1.859 | 49.00 | 27 |
| 1.850 | 49.25 | 22 |
| 1.824 | 50.00 | 49 |
| 1.287 | 73.61 | 19 |

Structure:
```
YV2Co10
1.0
-2.3263 4.1527 4.1617
2.3263 -4.1527 4.1617
2.3263 4.1527 -4.1617
Y V Co
1 2 10
Direct
0.0000 0.0000 0.0000
0.3618 0.3618 0.0000
0.6382 0.6382 0.0000
0.0000 0.0000 0.5000
0.0000 0.5000 0.0000
0.2190 0.5000 0.7190
0.2220 0.7220 0.5000
0.3597 0.0000 0.3597
0.5000 0.0000 0.0000
0.5000 0.5000 0.5000
0.6403 0.0000 0.6403
0.7780 0.2780 0.5000
0.7810 0.5000 0.2810
```

***

(2)
This entry pairs a crystal structure of Cd2P3Br with its theoretical powder diffractogram. Radiation: Cu Kα. Structure: a PBE-relaxed structure.

Largest 8 diffraction maxima, low angle first, 2θ from 10° to 80°:
| d/Å | Position (°2θ) | I_rel |
| --- | --- | --- |
| 3.934 | 22.60 | 18 |
| 3.767 | 23.62 | 57 |
| 3.029 | 29.49 | 20 |
| 2.959 | 30.20 | 100 |
| 2.700 | 33.18 | 53 |
| 2.075 | 43.61 | 19 |
| 1.967 | 46.15 | 19 |
| 1.822 | 50.05 | 19 |

Structure:
```
Cd2P3Br
1.0
4.1104 -4.6125 0.0000
4.1104 4.6125 0.0000
-1.3401 0.0000 7.5341
Cd P Br
4 6 2
Direct
0.0982 0.3945 0.2793
0.3945 0.0982 0.7793
0.6055 0.9018 0.2207
0.9018 0.6055 0.7207
0.0672 0.1585 0.9599
0.1585 0.0672 0.4599
0.1950 0.8050 0.2500
0.8050 0.1950 0.7500
0.8415 0.9328 0.5401
0.9328 0.8415 0.0401
0.3742 0.6258 0.7500
0.6258 0.3742 0.2500
```

***

(3)
This entry pairs a crystal structure of CsMg14Ni with its theoretical powder diffractogram. Radiation: Cu Kα. Structure: a PBE-relaxed structure.

Largest 8 diffraction maxima, low angle first, 2θ from 10° to 80°:
| d/Å | Position (°2θ) | I_rel |
| --- | --- | --- |
| 5.576 | 15.90 | 36 |
| 3.849 | 23.11 | 30 |
| 2.788 | 32.11 | 29 |
| 2.660 | 33.70 | 23 |
| 2.469 | 36.39 | 100 |
| 1.924 | 47.23 | 19 |
| 1.610 | 57.24 | 17 |
| 1.377 | 68.09 | 17 |

Structure:
```
CsMg14Ni
1.0
6.4381 0.0000 0.0000
-3.2191 5.5756 0.0000
0.0000 0.0000 10.6384
Cs Mg Ni
1 14 1
Direct
0.0000 0.0000 0.0000
└──
Donated: $ 917.51
Between two parts of the page: data records:
# 1
The following is a computed powder diffractogram of KMo2O7. It was derived from a structure optimized by DFT (PBE+U), using Cu Kα X-rays.

Largest 10 diffraction maxima, by angle, 10° ≤ 2θ ≤ 80°:
2θ = 16.6°, I 74.1
2θ = 23.0°, I 63.6
2θ = 28.5°, I 79.5
2θ = 29.1°, I 100.0
2θ = 41.2°, I 26.5
2θ = 45.1°, I 34.4
2θ = 46.9°, I 24.1
2θ = 51.2°, I 35.1
2θ = 51.6°, I 18.9
2θ = 56.2°, I 29.1

Atomic structure:
Cell: 6.127 10.652 3.874 Å, 90.00 90.00 90.00°
Space group Cmmm (No. 65)
Unique sites:
K1 0.000 0.000 0.000 (multiplicity 2)
Mo1 0.000 0.299 0.500 (multiplicity 4)
O1 0.000 0.297 0.000 (multiplicity 4)
O2 0.000 0.500 0.500 (multiplicity 2)
O3 0.196 0.144 0.500 (multiplicity 8)


# 2
The following is a computed powder diffractogram of KMo4O6. It was derived from a structure optimized by DFT (PBE+U), using Cu Kα X-rays.

Largest 10 diffraction maxima, by angle, 10° ≤ 2θ ≤ 80°:
2θ = 12.4°, I 87.4
2θ = 27.9°, I 86.2
2θ = 33.8°, I 100.0
2θ = 35.5°, I 22.1
2θ = 37.7°, I 15.6
2θ = 42.4°, I 47.3
2θ = 51.1°, I 17.1
2θ = 56.5°, I 34.2
2θ = 62.6°, I 18.3
2θ = 63.9°, I 14.5

Atomic structure:
Cell: 10.120 10.120 3.274 Å, 90.00 90.00 90.00°
Space group P4/mbm (No. 127)
Unique sites:
K1 0.000 0.000 0.000 (multiplicity 2)
Mo1 0.118 0.382 0.500 (multiplicity 4)
Mo2 0.152 0.652 0.000 (multiplicity 4)
O1 0.048 0.743 0.500 (multiplicity 8)
O2 0.204 0.296 0.000 (multiplicity 4)


# 3
The following is a computed powder diffractogram of KMo2O6. It was derived from a structure optimized by DFT (PBE+U), using Cu Kα X-rays.

Largest 10 diffraction maxima, by angle, 10° ≤ 2θ ≤ 80°:
2θ = 11.1°, I 18.1
2θ = 13.7°, I 100.0
2θ = 18.2°, I 19.2
2θ = 21.2°, I 34.3
2θ = 24.5°, I 24.2
2θ = 25.5°, I 19.4
2θ = 27.7°, I 21.3
2θ = 29.8°, I 21.4
2θ = 31.0°, I 17.9
2θ = 35.2°, I 22.9

Atomic structure:
Cell: 13.336 10.115 5.644 Å, 90.00 104.98 90.00°
Space group C2/c (No. 15)
Unique sites:
K1 0.000 0.159 0.250 (multiplicity 4)
Mo1 0.239 0.108 0.890 (multiplicity 8)
O1 0.110 0.088 0.726 (multiplicity 8)
O2 0.193 0.233 0.144 (multiplicity 8)
O3 0.203 0.493 0.342 (multiplicity 8)


# 4
The following is a computed powder diffractogram of KMo5O13. It was derived from a structure optimized by DFT (PBE+U), using Cu Kα X-rays.

Largest 10 diffraction maxima, by angle, 10° ≤ 2θ ≤ 80°:
2θ = 10.4°, I 98.8
2θ = 22.1°, I 26.9
2θ = 25.0°, I 48.7
2θ = 26.2°, I 100.0
2θ = 28.7°, I 32.5
2θ = 31.0°, I 65.5
2θ = 32.6°, I 26.1
2θ = 33.9°, I 28.6
2θ = 36.5°, I 23.9
2θ = 51.3°, I 44.5

Atomic structure:
Cell: 6.815 9.158 16.951 Å, 90.00 90.00 90.00°
Space group Cmcm (No. 63)
Unique sites:
K1 0.000 0.141 0.250 (multiplicity 4)
Mo1 0.000 0.000 0.000 (multiplicity 4)
Mo2 0.000 0.227 0.638 (multiplicity 8)
Mo3 0.000 0.382 0.072 (multiplicity 8)
O1 0.000 0.007 0.611 (multiplicity 8)
O2 0.000 0.183 0.750 (multiplicity 4)
O3 0.000 0.224 0.510 (multiplicity 8)
O4 0.000 0.426 0.638 (multiplicity 8)
O5 0.192 0.500 0.000 (multiplicity 8)
O6 0.209 0.301 0.130 (multiplicity 16)


# 5
So much for the data records:
TH EmergencyFund
Donated: $ 28.48
Ruhma Shahzad
Donated: $ 25
Ghulam Fatima's Story
Ghulam Fatima 56 years old lady had long standing goiter. She started experiencing difficulty in breathing due to neck swelling and was advised to Thyroidectomy for Multinodular Goiter. She was operated on 23-08-17 at Akram Medical Complex by Dr. Ahmed Fawad. Her Subtotal Thyroidectomy was done. She remained alright during her postoperative period and was discharged symptom-free after three days of hospital stay.